The reader should work out how many lines further below have the word "atom" in them; a number is enough.
<<<
Computed, not measured: an optimized crystal structure of K3IrCl6 at the PBE level of DFT.

final energy	-3.715	eV per atom
calculated formation energy	-40.5	kcal/mol of atoms
calculated volume	27.87	A^3/atom

Cell lengths 12.7465, 7.5937, 12.1258 Å; angles 90.00, 108.25, 90.00 degrees
Closest atoms and distances in Å follow each position.
Fractional coordinates of all 40 atoms:
K1 0.0977 0.0398 0.3583  9 Cl 3.26-3.64
K2 0.0977 0.4602 0.8583  9 Cl 3.26-3.64
K3 0.3173 0.5692 0.2652  7 Cl 3.09-3.45
K4 0.3173 0.9308 0.7652  7 Cl 3.09-3.45
K5 0.3183 0.0657 0.1135  8 Cl 3.18-3.49
K6 0.3183 0.4343 0.6135  8 Cl 3.18-3.49
K7 0.6817 0.5657 0.3865  8 Cl 3.18-3.49
K8 0.6817 0.9343 0.8865  8 Cl 3.18-3.49
K9 0.6827 0.0692 0.2348  7 Cl 3.09-3.45
K10 0.6827 0.4308 0.7348  7 Cl 3.09-3.45
K11 0.9023 0.5398 0.1417  9 Cl 3.26-3.64
K12 0.9023 0.9602 0.6417  9 Cl 3.26-3.64
Ir1 0.0000 0.0000 0.0000  6 Cl 2.37-2.39
Ir2 0.0000 0.5000 0.5000  6 Cl 2.37-2.39
Ir3 0.5000 0.0000 0.5000  6 Cl 2.38
Ir4 0.5000 0.5000 0.0000  6 Cl 2.38
Cl1 0.0918 0.2440 0.5992  1 Ir 2.39
Cl2 0.0918 0.2560 0.0992  1 Ir 2.39
Cl3 0.1161 0.0019 0.8804  1 Ir 2.37
Cl4 0.1161 0.4981 0.3804  1 Ir 2.37
Cl5 0.1227 0.6860 0.6392  1 Ir 2.37
Cl6 0.1227 0.8140 0.1392  1 Ir 2.37
Cl7 0.3538 0.6911 0.0053  1 Ir 2.38
Cl8 0.3538 0.8089 0.5053  1 Ir 2.38
Cl9 0.3611 0.2035 0.3985  1 Ir 2.38
Cl10 0.3611 0.2965 0.8985  1 Ir 2.38
Cl11 0.4999 0.1292 0.6785  1 Ir 2.38
Cl12 0.4999 0.3708 0.1785  1 Ir 2.38
>>>
2